(i)
Nd2NiO4 PBE with a Hubbard U relaxed; magnetization = 2.00 μB per formula unit; crystal system = tetragonal
1.0
5.576 0.000 0.000
0.000 5.576 0.000
0.000 0.000 12.142
Nd Ni O
8 4 16
direct
0.017 0.017 0.137
0.017 0.483 0.637
0.483 0.017 0.637
0.483 0.483 0.137
0.517 0.517 0.863
0.517 0.983 0.363
0.983 0.517 0.363
0.983 0.983 0.863
0.000 0.000 0.500
0.000 0.500 0.000
0.500 0.000 0.000
0.500 0.500 0.500
0.054 0.054 0.680
0.054 0.446 0.180
0.250 0.250 0.470
0.250 0.250 0.970
0.250 0.750 0.000
0.250 0.750 0.500
0.446 0.054 0.180
0.446 0.446 0.680
0.554 0.554 0.320
0.554 0.946 0.820
0.750 0.250 0.000
0.750 0.250 0.500
0.750 0.750 0.030
0.750 0.750 0.530
0.946 0.554 0.820
0.946 0.946 0.320

(ii)
Nd2NiO4 PBE with a Hubbard U relaxed; crystal system = orthorhombic
1.0
-1.980 2.033 6.096
1.980 -2.033 6.096
1.980 2.033 -6.096
Nd Ni O
2 1 4
direct
0.150 0.150 0.000
0.850 0.850 0.000
0.500 0.500 0.000
0.000 0.500 0.500
0.252 0.752 0.500
0.500 0.000 0.500
0.748 0.248 0.500

What should be chosen as the least stable of them? Choose (ii).

(i)
LiCoSi2O6 PBE with a Hubbard U relaxed; magnetization = 4.00 μB per formula unit; crystal system = monoclinic
1.0
3.702 -3.654 0.000
3.702 3.654 0.000
-3.550 0.000 9.783
Li Co Si O
2 2 4 12
direct
0.102 0.898 0.500
0.898 0.102 0.000
0.719 0.983 0.675
0.983 0.719 0.175
0.160 0.304 0.332
0.304 0.160 0.832
0.405 0.750 0.005
0.750 0.405 0.505
0.044 0.365 0.182
0.111 0.793 0.034
0.132 0.991 0.331
0.365 0.044 0.682
0.415 0.469 0.894
0.469 0.415 0.394
0.483 0.993 0.939
0.628 0.763 0.146
0.763 0.628 0.646
0.793 0.111 0.534
0.991 0.132 0.831
0.993 0.483 0.439

(ii)
LiCoSi2O6 PBE with a Hubbard U relaxed; magnetization = 4.00 μB per formula unit; crystal system = monoclinic
1.0
4.877 -4.351 0.000
4.877 4.351 0.000
-1.843 0.000 5.012
Li Co Si O
2 2 4 12
direct
0.241 0.759 0.750
0.759 0.241 0.250
0.400 0.600 0.250
0.600 0.400 0.750
0.115 0.294 0.735
0.294 0.115 0.235
0.706 0.885 0.765
0.885 0.706 0.265
0.129 0.612 0.328
0.141 0.148 0.443
0.148 0.141 0.943
0.297 0.471 0.849
0.388 0.871 0.172
0.471 0.297 0.349
0.529 0.703 0.651
0.612 0.129 0.828
0.703 0.529 0.151
0.852 0.859 0.057
0.859 0.852 0.557
0.871 0.388 0.672

What should be chosen as the least stable of them? Choose (ii).

=====

VASP calculation (PBE) on an optimized crystal structure of KMg14CO16.

## Properties
polymorph energy (0 for the lowest one): 0.0 meV/atom

abc: 4.456 8.173 9.077
angles: 90.00 90.00 90.00
Space group Pmmm (No. 47)
Unique sites:
K: 0.000 0.000 0.000
Mg: 0.000 0.000 0.500
Mg: 0.000 0.255 0.271
Mg: 0.000 0.500 0.500
Mg: 0.500 0.000 0.253
Mg: 0.500 0.251 0.500
Mg: 0.500 0.259 0.000
Mg: 0.500 0.500 0.249
C: 0.000 0.500 0.000
O: 0.000 0.000 0.273
O: 0.000 0.249 0.500
O: 0.000 0.339 0.000
O: 0.000 0.500 0.278
O: 0.500 0.000 0.000
O: 0.500 0.000 0.500
O: 0.500 0.250 0.244
O: 0.500 0.500 0.000
O: 0.500 0.500 0.500

=====

(1)
Rb3Ti4TlP4O20 after structural relaxation. Source: the Materials Project, functional PBE.

Values from the calculation:
Symmetry: P2_1, No. 4
Energy of formation, kJ per mole of atoms: -287.1
Density, Mg/m³: 3.9

a b c (Å): 10.6882 6.5754 13.1252
angles (deg): 89.90 90.00 90.00
Fractional coordinates of all 64 atoms:
Rb (0.4248, 0.6952, 0.8944)
Rb (0.9248, 0.3048, 0.1056)
Rb (0.6743, 0.2829, 0.8832)
Rb (0.1743, 0.7171, 0.1168)
Rb (0.1735, 0.7842, 0.6161)
Rb (0.6735, 0.2158, 0.3839)
Ti (0.9978, 0.9986, 0.8713)
Ti (0.4978, 0.0014, 0.1287)
Ti (0.4979, 0.4982, 0.6291)
Ti (0.9979, 0.5018, 0.3709)
Ti (0.7462, 0.7655, 0.7469)
Ti (0.2462, 0.2345, 0.2531)
Ti (0.2463, 0.2647, 0.7530)
Ti (0.7463, 0.7353, 0.2470)
Tl (0.9248, 0.1992, 0.6049)
Tl (0.4248, 0.8008, 0.3951)
P (0.4879, 0.0024, 0.6802)
P (0.9879, 0.9976, 0.3198)
P (0.9879, 0.5018, 0.8196)
P (0.4879, 0.4982, 0.1804)
P (0.7409, 0.8346, 0.9996)
P (0.2409, 0.1654, 0.0004)
P (0.2407, 0.3350, 0.5000)
P (0.7407, 0.6650, 0.5000)
O (0.8522, 0.9798, 0.9861)
O (0.3522, 0.0202, 0.0139)
O (0.3523, 0.4812, 0.5130)
O (0.8523, 0.5188, 0.4870)
O (0.7621, 0.6960, 0.0951)
Search the lines further up for the word "them" and restate each line that has it.
What should be chosen as the least stable of them? Choose (ii).
What should be chosen as the least stable of them? Choose (ii).